Excerpt =
+++
# 1
First-principles (PBE) data for Na2Sr3Cd7 after structural relaxation, as listed in Alexandria.

Structure (CIF):
```
data_Na2Sr3Cd7
_cell_length_a 10.803
_cell_length_b 10.803
_cell_length_c 10.803
_cell_angle_alpha 33.54
_cell_angle_beta 33.54
_cell_angle_gamma 33.54
_symmetry_space_group_name_H-M 'P 1'
_symmetry_Int_Tables_number 1
_symmetry_space_group_name_Hall 'P 1'
loop_
_atom_site_label
_atom_site_fract_x
_atom_site_fract_y
_atom_site_fract_z
Na1 0.166 0.166 0.166
Na2 0.834 0.834 0.834
Sr1 0.360 0.360 0.360
Sr2 0.500 0.500 0.500
Sr3 0.640 0.640 0.640
Cd1 0.000 0.000 0.000
Cd2 0.088 0.088 0.580
Cd3 0.088 0.580 0.088
Cd4 0.420 0.912 0.912
Cd5 0.580 0.088 0.088
Cd6 0.912 0.420 0.912
Cd7 0.912 0.912 0.420
```

Energy of formation = -0.21 eV per atom
VASP energy = -16.7 eV/cell

# 2
First-principles (PBE) data for Ho3Se4 after structural relaxation, as listed in Alexandria.

Structure (CIF):
```
data_Ho3Se4
_cell_length_a 15.015
_cell_length_b 4.079
_cell_length_c 7.108
_cell_angle_alpha 90.00
_cell_angle_beta 116.78
_cell_angle_gamma 90.00
_symmetry_space_group_name_H-M 'P 1'
_symmetry_Int_Tables_number 1
_symmetry_space_group_name_Hall 'P 1'
loop_
_atom_site_label
_atom_site_fract_x
_atom_site_fract_y
_atom_site_fract_z
Ho1 0.000 0.000 0.000
Ho2 0.234 0.500 0.724
Ho3 0.266 0.000 0.276
Ho4 0.500 0.500 0.000
Ho5 0.734 0.000 0.724
Ho6 0.766 0.500 0.276
Se1 0.123 0.000 0.444
Se2 0.135 0.500 0.989
Se3 0.365 0.000 0.011
Se4 0.377 0.500 0.556
Se5 0.623 0.500 0.444
Se6 0.635 0.000 0.989
Se7 0.865 0.500 0.011
Se8 0.877 0.000 0.556
```

Formation energy from raw total energies = -175.5 kJ/mol of atoms
VASP energy = -80.8 eV/cell

# 3
First-principles (PBE) data for Rb2YReBr6 after structural relaxation, as listed in Alexandria.

Structure (CIF):
```
data_Rb2YReBr6
_cell_length_a 7.622
_cell_length_b 7.622
_cell_length_c 7.622
_cell_angle_alpha 60.00
_cell_angle_beta 60.00
_cell_angle_gamma 60.00
_symmetry_space_group_name_H-M 'P 1'
_symmetry_Int_Tables_number 1
_symmetry_space_group_name_Hall 'P 1'
loop_
_atom_site_label
_atom_site_fract_x
_atom_site_fract_y
_atom_site_fract_z
Rb1 0.250 0.250 0.250
Rb2 0.750 0.750 0.750
Y1 0.000 0.000 0.000
Re1 0.500 0.500 0.500
Br1 0.260 0.260 0.740
Br2 0.260 0.740 0.260
Br3 0.260 0.740 0.740
Br4 0.740 0.260 0.260
Br5 0.740 0.260 0.740
Br6 0.740 0.740 0.260
```

Formation energy from raw total energies = -94.2 kJ/mol of atoms
VASP energy = -40.7 eV/cell

# 4
First-principles (PBE) data for TmCd3Pt4 after structural relaxation, as listed in Alexandria.

Structure (CIF):
```
data_TmCd3Pt4
_cell_length_a 9.711
_cell_length_b 6.027
_cell_length_c 4.975
_cell_angle_alpha 90.00
_cell_angle_beta 90.00
_cell_angle_gamma 90.00
_symmetry_space_group_name_H-M 'P 1'
_symmetry_Int_Tables_number 1
_symmetry_space_group_name_Hall 'P 1'
loop_
_atom_site_label
_atom_site_fract_x
_atom_site_fract_y
_atom_site_fract_z
Tm1 0.000 0.000 0.000
Tm2 0.500 0.000 0.000
Cd1 0.000 0.500 0.000
Cd2 0.250 0.000 0.412
Cd3 0.250 0.500 0.400
Cd4 0.500 0.500 0.000
Cd5 0.750 0.000 0.588
Cd6 0.750 0.500 0.600
Pt1 0.000 0.253 0.500
Pt2 0.000 0.747 0.500
Pt3 0.250 0.257 0.895
Pt4 0.250 0.743 0.895
Pt5 0.500 0.253 0.500
Pt6 0.500 0.747 0.500
Pt7 0.750 0.257 0.105
Pt8 0.750 0.743 0.105
```

Energy of formation = -0.60 eV per atom
VASP energy = -72.4 eV/cell

# 5
First-principles (PBE) data for LaSm2I after structural relaxation, as listed in Alexandria.

Structure (CIF):
```
data_LaSm2I
_cell_length_a 3.826
_cell_length_b 3.826
_cell_length_c 32.266
_cell_angle_alpha 90.00
_cell_angle_beta 90.00
_cell_angle_gamma 120.00
_symmetry_space_group_name_H-M 'P 1'
_symmetry_Int_Tables_number 1
_symmetry_space_group_name_Hall 'P 1'
loop_
_atom_site_label
_atom_site_fract_x
_atom_site_fract_y
_atom_site_fract_z
La1 0.000 0.000 0.000
La2 0.333 0.667 0.667
La3 0.667 0.333 0.333
Sm1 0.000 0.000 0.244
Sm2 0.000 0.000 0.756
Sm3 0.333 0.667 0.423
Sm4 0.333 0.667 0.911
Sm5 0.667 0.333 0.089
Sm6 0.667 0.333 0.577
I1 0.000 0.000 0.500
+++

Assignment =
Write out only the lines earlier on with the word "Na2" in them.

Outcome =
Na2 0.834 0.834 0.834